Namira Azalea
Welcome to Namira’s tinnie world! This is a story about a little fairy, with her pixie dust—— she’s ready to brighten your day
Hii, i'm Mira, lengkapnya Namira Azalea, you can call me mira, mir, nami atau kamu punya panggilan khusus buatku? tentu boleh. People said that i'm a good listener and a good advicer dan memang aku suka dengerin orang cerita karena menurut ku ketika seseorang mencertikan suatu hal ke aku itu artinya aku dipercaya dan aku harus menjaga kepercayaan itu dan menghargainya, jadi jangan ragu buat cerita sama aku ya? don't worry to talk anything to me because i always respect your privacy and i'm not a judgemental person. Aku convo builder and talkative jadi kita gabakal kehabisan topik di room chat nanti, ga percaya? buktiin dehMBTI ku ESTP, my top 3 love language are Words of Affirmation, Quality Time and Act of Services. Aku suka nonton film atau series, genre favorit ku mysteries, thriller, horror, survival dan drama tapi aku banyak nonton berbagai genre, aku punya banyak rekomendasi film dan series buat kamu tonton atau kita nonton bareng aja gimana? aku tunggu. Soal musik aku lebih terbuka lagi sama berbagai genre, aku suka dengerin karya-karya dari Tom Misch, the1975, coldplay, CAS, NIKI, LANY, NCT, Shawn Mendes, Rex Orange Country, Nadin Amizah, Hindia, Kunto Aji, Tulus, etc. masih banyak musisi favoritku yang belum aku sebut, jadi aku kasih tau nanti pas kita ketemu aja ya?Bahasa yang aku gunakan mostly bahasa, english, dan aku bisa Bahasa Sunda karena aku sundanese, da aku mah sunda pisan atuh akang teteh, kumaha damang?Aku ini si anak pagi alias kalong yang jam tidurnya udah ganti hari jadi kalau kamu butuh seseorang buat overthinking bareng, sama aku pas banget. Overthinking sekaligus menceritakan hal-hal yang terjadi di hari itu. Berbagi keluh kesah, jangan dipendem sendiri ya?Sebagai penutup untuk perkenalanku, aku seorang manusia yang juga punya kesibukan in real life jadi maaf ya kalau ga sesuai ekspektasi kamu, tapi aku selalu berusaha untuk kasih yang terbaik buat orang tersayang
Name | Namira Azalea |
Nickname | Mira, Nami |
Main Muse | Karina aespa |
Side Muse | Ryujin ITZY, Winter aespa |
Age | 20+ |
Blood Type | B |
Zodiak | Aquarius |
Love Language | Words of Affirmation, Quality Time, Act of Services |
Work hours start from 10am-10pm (GMT +7)
Available on Twitter, Telegram, and KakaoTalk
Available for BA, CA, FA
Available for BxG, GxG (switch), bestie, and sister/family
Asking too much about real life is strictly prohibited
Do respect each other privacy
Only safe for work
I can't do imagine
Doesn't provide NSFW
OTP and VN are not available
I'm not taking responsibility if the client catched feelings
I don't accept refund, you can RE-SCHEDULE your session
Minimum of rent is an hour and maximum rent is a week
Do not disrespect me as a talent, because i will never treat you that way too
Payment first to avoid HNR
The client MUST FILL THE TESTIMONIAL after the session ended


Free services
request face claim
request pet name
request typing
Additional services
sposess 3k/hour
PDA 5k/day
stay up late 3k/hour (max 2 AM)
put name on bio 2k
study date 5k/hour (discuss first)
movie date 5k/movie
food/drink date (bills on you)
couple layout (bills on you)
another date (discuss first)
HOURLY (all free services) 4k/hour
REGULER (2-3 client/day, all free services) 8k/day, 21k/3 days
VIP (only you, one platform, all free services, spotify session 1 hour) 16k/day, 45k/3 days, 95k/week
VVIP (only you, all platform, all free services, flexible hour, choose two add services) 22k/day, 62k/3 days, 120k/week

Name :
Username :
Platform & ID :
Backup account :
Type Acc (BA/CA/FA) :
Package (hourly/regular/vip/vvip) :
┌──
The following is a theoretical powder X-ray diffraction pattern of Dy12ScNi6. It was derived from a PBE-relaxed structure, using Cu Kα (λ = 1.5418 Å).
Lines closer than 0.1° are merged.

Lattice parameters (Å, degrees): 8.467 8.467 8.467 109.47 109.47 109.47
Fractional coordinates of all 19 atoms:
Dy1 0.123 0.815 0.308
Dy2 0.185 0.308 0.492
Dy3 0.185 0.692 0.877
Dy4 0.308 0.123 0.815
Dy5 0.308 0.492 0.185
Dy6 0.492 0.185 0.308
Dy7 0.508 0.815 0.692
Dy8 0.692 0.508 0.815
Dy9 0.692 0.877 0.185
Dy10 0.815 0.308 0.123
Dy11 0.815 0.692 0.508
Dy12 0.877 0.185 0.692
Sc1 0.000 0.000 0.000
Ni1 0.123 0.623 0.500
Ni2 0.377 0.500 0.877
Ni3 0.500 0.123 0.623
Ni4 0.500 0.877 0.377
Ni5 0.623 0.500 0.123
Ni6 0.877 0.377 0.500

The 8 most intense peaks (10° ≤ 2θ ≤ 90°), by intensity:
Position (°2θ)  intensity
34.32  100
└──
Start - end :
Relationship (bxg/bestie/sister) :
Your face claim :
Req face claim :
Req typing :
Req pet name :
Do(s) :
Don't(s) :
Describe yourself :
Describe your type :
Your dream relationship :
Current interest :
Mind if I spam u : yes/no
Other req :
Additional service :
Payment via :